King High is designed for 11th and 12th grade students who are at least 16 years-old. Students and families choose King for a variety of reasons, such as credit recovery, accelerated graduation, flexible scheduling, a small learning community, one-on-one instruction, and/or to address special needs or circumstances (Special Education, English Learners).
New students are accepted on a case-by-case basis at the beginning of each quarter.
Current DJUSD Students
If you are interested in enrolling at King, contact your school counselor to set up an intake interview for the next quarter. Prospective students participate in an intake interview with our principal and counselor to determine if King is an appropriate placement. We do not offer rolling admissions; students wait until the beginning of a new quarter to enroll at King.
Out of District Students
If you live outside of the Davis Joint Unified School District and would like to attend King High, please contact the District Office to initiate an interdistrict transfer agreement.
Here the entry breaks off for data records =
-- begin --
No. 1
Ge2PbS4: relaxed, PBE. Values from VASP.

Computed properties:
Formation energy without anion corrections: -358 meV/atom
Total DFT energy (no corrections): -4.565 eV per atom

Quantum ESPRESSO input file:
```
&SYSTEM
  ibrav = 0, nat = 28, ntyp = 3
/
ATOMIC_SPECIES
Ge 72.64 Ge.upf
Pb 207.20 Pb.upf
S 32.06 S.upf
CELL_PARAMETERS angstrom
13.808 0.000 0.000
0.000 8.560 0.000
0.000 0.000 6.247
ATOMIC_POSITIONS angstrom
Ge 0.000 0.000 0.000
Ge 0.000 4.280 0.000
Ge 1.082 2.140 2.484
Ge 5.822 6.420 5.608
Ge 6.904 0.000 3.123
Ge 6.904 4.280 3.123
Ge 7.986 2.140 0.639
Ge 12.726 6.420 3.762
Pb 3.242 6.420 2.966
Pb 3.662 2.140 6.089
Pb 10.146 6.420 0.157
Pb 10.566 2.140 3.280
S 0.929 6.420 4.795
S 0.952 2.140 4.696
S 2.185 0.385 1.607
S 2.185 3.895 1.607
S 4.719 4.665 4.730
S 4.719 8.175 4.730
S 5.952 6.420 1.573
S 5.975 2.140 1.671
S 7.833 6.420 4.575
S 7.855 2.140 4.674
S 9.089 0.385 1.517
S 9.089 3.895 1.517
S 11.623 4.665 4.640
S 11.623 8.175 4.640
S 12.856 6.420 1.550
S 12.879 2.140 1.452
```

---

No. 2
La7CdI12: relaxed, PBE. Values from VASP.

Computed properties:
Formation energy without anion corrections: -1267 meV/atom
Total DFT energy (no corrections): -3.968 eV per atom

Quantum ESPRESSO input file:
```
&SYSTEM
  ibrav = 0, nat = 20, ntyp = 3
/
ATOMIC_SPECIES
La 138.91 La.upf
Cd 112.41 Cd.upf
I 126.90 I.upf
CELL_PARAMETERS angstrom
8.305 4.795 3.606
-8.305 4.795 3.606
0.000 -9.590 3.606
ATOMIC_POSITIONS angstrom
La 0.000 0.000 0.000
La -1.811 -1.740 3.591
La -0.602 2.438 3.591
La 2.413 -0.698 3.591
La -2.413 0.698 7.227
La 0.602 -2.438 7.227
La 1.811 1.740 7.227
Cd 0.000 0.000 5.409
I -2.683 0.767 1.679
I 0.677 -2.707 1.679
I -4.448 -1.114 5.405
I -1.259 -4.409 5.413
I 2.005 1.940 1.679
I -3.188 3.295 5.413
I 3.188 -3.295 5.405
I -2.005 -1.940 9.139
I 1.259 4.409 5.405
I 4.448 1.114 5.413
I -0.677 2.707 9.139
I 2.683 -0.767 9.139
```

---

No. 3
TbPmTc2O8: relaxed, PBE. Values from VASP.

Computed properties:
Formation energy without anion corrections: -2235 meV/atom
Total DFT energy (no corrections): -8.050 eV per atom

Quantum ESPRESSO input file:
```
&SYSTEM
  ibrav = 0, nat = 12, ntyp = 4
/
ATOMIC_SPECIES
Tb 158.93 Tb.upf
Pm 145.00 Pm.upf
Tc 98.00 Tc.upf
O 16.00 O.upf
CELL_PARAMETERS angstrom
-2.628 2.628 5.687
2.628 -2.628 5.687
2.628 2.628 -5.687
ATOMIC_POSITIONS angstrom
Tb 0.000 0.000 0.000
Pm 0.000 2.628 2.843
Tc 2.628 0.000 2.843
Tc 0.000 0.000 5.687
O 3.955 -0.852 1.849
O 1.776 -1.327 3.838
O 1.736 1.307 -0.965
O 1.301 0.852 1.849
O 1.321 -0.892 6.652
O 3.481 1.327 3.838
O 0.892 1.321 4.721
O 1.307 3.521 0.965
```

---

No. 4
FeHgSb3: relaxed, PBE. Values from VASP.

Computed properties:
Energy above the most stable polymorph in this dataset: 0 meV per atom
Formation energy without anion corrections: 356 meV/atom
Total DFT energy (no corrections): -3.870 eV per atom

Quantum ESPRESSO input file:
```
&SYSTEM
  ibrav = 0, nat = 5, ntyp = 3
/
ATOMIC_SPECIES
Fe 55.84 Fe.upf
Hg 200.59 Hg.upf
Sb 121.76 Sb.upf
-- stop --
End of the data records =
If you are new to the Davis Joint Unified School District and are transferring from another continuation high school, please contact the Principal and Counselor to set up an intake meeting. Students who relocate to within the DJUSD may be immediately enrolled, if placement is appropriate. New students must provide proof of residency in Davis, current immunization records, proof of birth-date, and school records.
Enrollment checklist:
Be at least 16 years-old and in 11th or 12th grade
Talk to your counselor* at your home school to set up an intake interview for the next quarter of King enrollment
Participate in intake interview with King staff
Student and parent/guardian attend mandatory Welcome Night the week before the new quarter begins
Complete withdrawal paperwork at your previous school
New students participate in two days of orientation prior to beginning classes
If you think you may be interested in King, act early and get your name on the list for intake interviews by speaking to your counselor now to keep your options open for future quarters!
*Students with Individual Education Plans (IEPs) must contact their case managers to initiate a transfer packet request. Placement at King depends on an IEP team decision.
For information about enrolling as a 10th grade student, or to request an exception for immediate placement, contact the Principal or Counselor to schedule a meeting.
If you have been expelled, contact DJUSD Student Support Services at (530) 757-5300 to discuss options for enrollment.